Duality Categories
Duality Categories
Duality Categories
1. Introduction 1
2. Preliminaries 4
3. Yoneda bifunctor and epireflective subcategory 7
4. Functor of duality 14
5. Duality functors 18
6. Illustration: strict polynomial functors 20
7. Tits buildings are duality categories 23
References 35
1. Introduction
A group G is a duality group in the sense of Beiri and Eck-
mann [BE73] if there exist an integer n, a right G-module D and a
natural isomorphism
H k (G, −) ∼
= Hn−k (G, D ⊗ −).
We generalize this definition of duality group by replacing the group G
with a category C. A C-module is then a functor from C to the category
of abelian groups Ab.
Definition 1.1. A small category C is said a duality category if there
exists a functor D : C op → Ab, an integer n and a natural isomorphism
Exti (Z, −) ∼
C−mod = TorC−mod (D, −)
2. Preliminaries
In this section, the notation C designates an essentially small cat-
egory, the notation k designates a unitary commutative ring and the
notation k−mod designates the category of left k-modules. The cate-
gory Z−mod is denoted Ab.
2.1. The category C−mod.
Definitions 2.1.
• A left (resp. right) C-module is a covariant functor from C (resp.
C op ) to the category k−mod.
• We denote I the category 0 → 1. Let F and G be two left
C-modules. A natural transformation between F and G is a
T : C × I → k−mod
such that T (c, 0) = F (c) and T (c, 1) = G(c).
• We denote C−mod (resp. C op −mod) the category whose ob-
jects are left (resp. right) C-modules and whose morphisms are
natural transformations.
Properties 2.2.
• For two objects F and G of C−mod, the set HomC−mod (F, G) of
natural transformations between F and G is naturally provided
with a k-module structure.
• The bifunctor
HomC−mod (−, −) : (C−mod)op × C−mod → k−mod
commutes with limits with respect to each variable (limit ob-
jects in (C−mod)op identify with colimit objects in C−mod).
• Let PaC denotes the functor k[HomC (a, −)]. The linear analogue
of the Yoneda Lemma ([Maclane1, III.2]) provides the following
natural isomorphism
(2) HomC−mod (PaC , F ) ∼
= F (a).
The isomorphism is given by the following map
HomC−mod (PaC , F ) → F (a)
N 7→ Na (1a )
The inverse is defined by associating to λ ∈ F (a) the natural
transformation N : PaC → F whose component Nx is given by
Nx (f ) = F (f )λ for f ∈ HomC (a, x).
• The categories C−mod and C op −mod are abelian. This follows
from the definition of an abelian category and the fact that
kernels, cokernels and more generally limits and colimits are
calculated pointwise (see [Weibel, 1.6.4 and A.4]).
• For any object a of C, the functors called standard projectives
PaC := k[HomC (a, −)] and PCa := k[HomC (−, a)] are projective
in C−mod and C op −mod respectively. This is a consequence
of the Yoneda isomorphism 2 and the fact that a short exact
sequence in C−mod is exact if and only if it’s exact pointwise.
• The categories C−mod and C op −mod have enough projec-
tives. The standard projectives of C−mod (resp. of C op −mod)
form a system of projective generators. This is a particular
case of corollary 3.8. They also have enough injectives (see
[Grothendieck, theorem 1.10.1]).
2.2. Tensor product over C. Let F be a right C-module and G a
left C-module. The tensor product F ⊗C G of F and G over C is the
quotient of the k-module
F (x) ⊗k G(x)
by the submodule generated by the elements
F (f )a ⊗ b − a ⊗ G(f )b (∀f ∈ HomC (x, y), ∀a ∈ F (y), ∀b ∈ G(x)).
Properties 2.3.
• The tensor product over C defines a bifunctor
− ⊗C − : C op −mod × C−mod → k−mod
which commutes with colimits with respect to each variable. In
particular, the bifunctor − ⊗C − is right exact relative to each
induced by µ is an isomorphism.
Proof. Let us say that a functor is nice if it satisfies the property of the
proposition. That a functor F = Ta is nice is obvious. We will show
that any limit, resp. any colimit, of nice functors is a nice functor.
By the definition of CT −mod, this will give the desired result. First,
suppose F is a functor of CT −mod which is a limit of nice objects.
Write F = lim Fi . The bifunctor Hom(−, −) commutes with limits, so
Hom(Ta , lim Fi ) ∼
= lim Hom(Ta , Fi ) ∼
= F (a).
Hom(Ta , Fi ) ci
/ colim Hom(Ta , Fi )
Fi / colim Fi
in corollary 3.8 shows that the TaH ’s form a system of projective gen-
erators of H and thus each object of H is a colimit of the TaH ’s taking
into account that we may need to iterate. It follows that H contains
an isomorphic copy of each object of CT H −mod and therefore the two
subcategories are equivalent.
4. Functor of duality
In this section, we fix a Yoneda bifunctor T for C. We recall that
CT −mod is the smallest full subcategory of C−mod containing the Ta ’s
and stable under limits and colimits. This is an abelian category with
enough projectives. The projectives Ta , called T -standards, form a
system of generators of CT −mod.
4.1. Definitions. Let R be a unitary ring and M a left R-module.
The dual of M is the right R-module M ′ := HomR−mod (M, R). The
functor of duality D defined below is a generalization of the duality
operator M 7→ M ′ where R is replaced by a category C.
We denote
D : (C−mod)op → C op −mod
the functor that sends a left C-module F to the right C-module DF :=
Hom(F, T ). We refer to notations 3.1 for the definition of Hom(F, T )
i.e. for an object x of C, the equality
DF (x) = HomC−mod (F, Tx )
+++
Computed PXRD pattern of BC2 for Cu Kα, from a structure optimized by DFT (GGA-PBE).
Lines closer than 0.1° are merged.

Cell: 2.4979 2.4979 12.2186 Å, 90.00 90.00 90.00°
Space group P-4m2 (No. 115)
Unique sites:
B 0.0000 0.0000 0.0000
B 0.0000 0.5000 0.1092
B 0.5000 0.5000 0.5000
C 0.0000 0.0000 0.3429
C 0.0000 0.5000 0.4124
C 0.0000 0.5000 0.7359
C 0.5000 0.5000 0.1939

Peak list (9 most intense, 5° ≤ 2θ ≤ 70°, by angle)
- d 12.219, 7.23 deg, I = 64
- d 6.109, 14.50 deg, I = 27
- d 2.444, 36.77 deg, I = 1
- d 2.312, 38.95 deg, I = 1
- d 2.129, 42.45 deg, I = 100
- d 1.934, 46.99 deg, I = 7
- d 1.747, 52.38 deg, I = 2
- d 1.529, 60.58 deg, I = 1
- d 1.431, 65.18 deg, I = 3



Computed PXRD pattern of BaPtSe for Cu Kα, from a structure optimized by DFT (GGA-PBE).
Lines closer than 0.1° are merged.

Cell: 4.5849 7.9527 5.1622 Å, 90.00 90.04 90.00°
Space group P2_1/m (No. 11)
Unique sites:
Ba 0.0007 0.2500 0.2370
Pt 0.5000 0.0000 0.0000
Se 0.4989 0.7500 0.2778

Peak list (10 most intense, 5° ≤ 2θ ≤ 70°, by angle)
- d 5.162, 17.18 deg, I = 46
- d 3.428, 25.99 deg, I = 27
- d 3.149, 28.34 deg, I = 100
- d 3.004, 29.74 deg, I = 41
- d 2.596, 34.55 deg, I = 44
- d 2.292, 39.30 deg, I = 27
- d 2.165, 41.72 deg, I = 44
- d 2.096, 43.15 deg, I = 31
- d 1.854, 49.14 deg, I = 20
- d 1.574, 58.65 deg, I = 32



Computed PXRD pattern of CaCu2SiS4 for Cu Kα, from a structure optimized by DFT (GGA-PBE).
Lines closer than 0.1° are merged.

Cell: 8.2801 8.2986 9.3343 Å, 90.00 90.00 90.00°
Space group Fmm2 (No. 42)
Unique sites:
Ca 0.0000 0.0000 0.0000
Cu 0.2500 0.2500 0.2485
Si 0.0000 0.0000 0.4983
S 0.0000 0.2070 0.6356
S 0.2076 0.0000 0.3613

Peak list (10 most intense, 5° ≤ 2θ ≤ 70°, by angle)
- d 4.667, 19.02 deg, I = 9
- d 3.099, 28.81 deg, I = 100
- d 2.931, 30.50 deg, I = 6
- d 2.524, 35.57 deg, I = 7
- d 2.075, 43.63 deg, I = 12
- d 2.070, 43.73 deg, I = 12
- d 1.826, 49.96 deg, I = 34
- d 1.723, 53.17 deg, I = 29
- d 1.465, 63.48 deg, I = 6
- d 1.456, 63.92 deg, I = 9



Computed PXRD pattern of Li2Ca6Hg for Cu Kα, from a structure optimized by DFT (GGA-PBE).
Lines closer than 0.1° are merged.

Cell: 10.4913 10.5011 5.5242 Å, 90.00 90.00 90.00°
Space group Pnnm (No. 58)
Unique sites:
Li 0.2008 0.2035 0.0000
Ca 0.0273 0.3091 0.5000
Ca 0.1198 0.8819 0.0000
Ca 0.1906 0.5291 0.0000
Hg 0.0000 0.0000 0.5000

Peak list (10 most intense, 5° ≤ 2θ ≤ 70°, by angle)
- d 7.422, 11.92 deg, I = 83
- d 5.248, 16.89 deg, I = 54
- d 4.888, 18.15 deg, I = 68
- d 3.319, 26.86 deg, I = 34
- d 2.956, 30.24 deg, I = 100
- d 2.762, 32.41 deg, I = 27
- d 2.575, 34.84 deg, I = 38
- d 2.474, 36.31 deg, I = 25
- d 2.312, 38.96 deg, I = 36
- d 1.962, 46.27 deg, I = 27


1.
Structure and theoretical powder diffractogram of Y4Fe3C5 (a GGA-PBE-relaxed structure; Cu Kα X-rays).
Peak positions follow from Bragg's law for the DFT cell and can differ from measured ones.

```
12
Lattice="5.594 -1.868 0.000 5.594 1.868 0.000 -3.931 0.000 8.686" Properties=species:S:1:pos:R:3 pbc="T T T"
+++
The materials data stop here.
where Tx is the functor T (x, −) defines Hom(F, T ) on objects.
The functor of duality D extends to the category (Ch(C−mod))op as
follows. To a complex X = (X n , dnX ) of Ch(C−mod), the functor
D : (Ch(C−mod))op → Ch(C op −mod)
associates the complex D(X) defined by
D(X)n = D(X −n ) and dnD(X) = (−1)n+1 D(dX ).
4.2. Behavior of D on projectives of CT −mod.
Example 4.1. For any object a of C, we have a natural isomorphism
D(Ta ) ∼= T a.
Indeed, one has natural isomorphisms, as a consequence of the Yoneda
D(Ta )(x) = HomC−mod (Ta , Tx ) ∼
= Tx (a) = T a (x)
for all x ∈ ObC. The equality D(Ta ) = T a follows.
The previous example and the fact that D commutes with limits
imply that the functor D restricts to a functor
D : (CT −mod)op → CT op −mod.
5. Duality functors
Let T a Yoneda bifunctor fo C. We introduce the concept of duality
functors in CT −mod. This concept is measured by the action of the
functor of duality
D : (CT −mod)op → CT op −mod
on some objects of CT −mod.
Proof. H.Krause showed that the functor θ−2 is a Serre duality for
Dperf (Rep Γdk ) (see [Krause, corollary 5.5]). The proposition follows
from the uniqueness of a Serre duality up to an isomorphism (see re-
mark 4.11).
Proof. For the proof of the proposition, we make use of the following
properties of the Ringel duality θ (see theorem 6.3) for strict polynomial
functors studied in the article [Touzé1].
(1) We have isomorphisms θ(S s ) ∼ = Λs and θ(Λs ) ∼
= Γs (see [Touzé1,
lemma 3.6]).
(2) Let C ∈ D b (Rep Γdk ). We have natural isomorphisms
θn (C ◦ I(r) ) ∼
= θn (C) ◦ I(r) [dn(pr − 1)]
θn (I(r) ◦C) ∼
= I(r) ◦θn (C) [dn(pr − 1)]
(see [Touzé1, proposition 6.6]).
The proposition 6.4 and the definition of the inverse of θ in theorem
6.3 imply
RD Γs ◦ I(r) ∼
= θ−2 (Γs ◦ I(r) ) ∼
= θ2 (Γs ◦ I(r) )# )# .
The above properties of θ and the equalities (F ◦G)# = F # ◦G# , Γs# =
S s and I(r)# = I(r) allow to rewrite this isomorphism as
RD Γs ◦ I(r) ∼
= (θ2 (S s ) ◦ I(r) )# [2s (pr − 1)] ∼
= S s ◦ I(r) [2s (pr − 1)].
4❃ 0❃ 1
❃❃ ❃c❃ d
❃❃ ❃❃
a ❃❃❃b ❃❃ e
2 3
The complex of C-modules
0 → P2C ⊕ P2C ⊕ P3C → P0C ⊕ P1C ⊕ P4C
b∗ b∗ d∗
where φ is given by the matrix −c ∗
0 −e∗ is a projective
0 −a 0
resolution of Z. We apply the functor of duality D to this resolution,
we obtain the complex
PC2 ⊕ PC2 ⊕ PC3 ← PC0 ⊕ PC1 ⊕ PC4 ← 0
and we check that it’s a projective resolution of the right C-module
D 1 (Z), given on objects by
D 1 (Z)(0) = D 1 (Z)(1) = D 1 (Z)(2) = Z2 and D 1 (Z)(3) = D 1 (Z)(4) = Z.
Moreover, we have
H1 (P f , P ; Z) = Z and H0 (P
f , P ; Z) = H1 (P f , P ; Z) = H0 (P
f , P ; Z) = 0.
2 2 3 3 2 2 3 3
to remark 7.15 and lemma 7.13. We conclude that Hn (C; PPxC ) is equal
to 0.
Proof of the isomorphism (14) of claim 2: First we have that
PxC ∼ n e Cex −Cex≥z
Hn (C; C
) = H (Cx − Cex≥z ; Px ).
This follows from the long exact sequence associated to the pair (C, Cex −
Cex≥z ) and the fact that
Cex −Cex≥z PxC ∼ Y PxC
Hom(BiC /Bi , )= (xi ) = 0.
/ i Cex −Cex≥z
x0 →···→xi ∈N
(4) Let ϕ|d denotes the fiber category over d ∈ ObD whose objects
are morphisms in D of the form ϕ(a) → d. A morphism from
α β
ϕ(a) → d to ϕ(b) → d is a morphism h : a → b in C such that
β ◦ ϕ(h) = α. The fiber category d|ϕ is the category (ϕop |d)op .
Let j : ϕ|d → C the functor that assigns to a morphism ϕ(a) →
d the object a of C and is the identity on morphisms of ϕ|d. We
keep the same notation for the analogue functors on d|ϕ and
ϕop |d. We have an isomorphism
Li LKϕ (F )(d) ∼
= Tor (Z, Resj F ).
(1) This is a consequence of the isomorphisms
HomD−mod (LKϕ PaC , G) ∼
= HomC−mod (PaC , Resϕ G) ∼ D
= HomD−mod (Pϕ(a) , G).
(2) Since the tensor products and LKϕ commute with colimits, it’s
sufficient to prove the first statement for G = PaC , which is a
direct consequence of the first property and the isomorphisms
(3). The proof for the second statement is analogue.
(3) The second property implies the isomorphisms
L(LKϕ P∗ )(d) ∼= P d ⊗D LKϕ P∗ ∼
D = Resϕop P d ⊗C P∗ . D